What to do
Your job: write out all of the entries below character by character.

Contents
~~~
The following is a GGA+U calculation of a relaxed structure of ReMo3F, from Alexandria.

## Properties
Space-group type: Pm-3m, No. 221
VASP energy (eV per atom): -5.525
E above lowest polymorph (meV/atom): 294
Total magnetic moment (μB per cell): 9.90

Unit cell a=5.090 b=5.090 c=5.090 alpha=90.00 beta=90.00 gamma=90.00
Site moments in Bohr magnetons follow the coordinates.
Atoms (fractional coordinates):
Re  0.000  0.000  0.000  -1.47
Mo  0.000  0.500  0.000  3.27
Mo  0.000  0.000  0.500  3.03
Mo  0.500  0.000  0.000  3.59
F  0.500  0.500  0.500  0.12
~~~

Completed
The following is a GGA+U calculation of a relaxed structure of ReMo3F, from Alexandria.

## Properties
Space-group type: Pm-3m, No. 221
VASP energy (eV per atom): -5.525
E above lowest polymorph (meV/atom): 294
Total magnetic moment (μB per cell): 9.90

Unit cell a=5.090 b=5.090 c=5.090 alpha=90.00 beta=90.00 gamma=90.00
Site moments in Bohr magnetons follow the coordinates.
Atoms (fractional coordinates):
Re  0.000  0.000  0.000  -1.47
Mo  0.000  0.500  0.000  3.27
Mo  0.000  0.000  0.500  3.03
Mo  0.500  0.000  0.000  3.59
F  0.500  0.500  0.500  0.12